How much $$$ can you make from a 20K downloaded iOS Game?

Mehmet Alpsoy
10 min readDec 18, 2014

After considering it for several years, in 2014 we were finally able to release our first game Catena. And we thought that, while saying good-bye to 2014, it is the perfect time to review our debut year of “indie game development”, supported with insights of Catena, and of course I will be mentioning our 2 other published games Bubble Pump and Hexomino time to time to support some arguments. To be honest, this will be a long article, as I will try to go into every single detail to make it very clear.

I need to give a break here and tell you why we call ourselves “indie game developers” while we are actually a “digital publishing company”. The reason is pretty simple, because making games is not a business for us yet and our company’s revenue is coming from other things which are 100% depending on mobile as well. We provide digital publishing services to clients and make interactive story books for kids (Fusee).

How did we find the idea?

It all started in January 2014, while we were making one of our traditional walk’n talk thing in our office, I told Sinan that it was time to do it and I had a word game idea. He knew that I was a fan of Letterpress, so when I went into details he wasn’t surprised a bit. The idea was coming from a simple game we used to play when I was a kid. One player speaks out a word, and the other player comes out with a new word starting with the last letter of the opponent’s word to build a word chain. Like APPLE — ENTERTAIN. We decided to improve the game play and involved multiple ending letters. Like APPLE — PLEASE. Obviously it was going to be a turn based multiplayer game like Letterpress, along with a single player option with multiple difficulty levels played against CPU.

How long does it take to make the game?

After more than 5 years since the Flash days, I was really excited to be in a game making process which took 3 months, because we had to give breaks to handle other stuff which brought us the warm money.

We started with the UI design. I wanted to keep it clean and simple, and thought that typography would be the key of the game board design. After a little struggle, user interface started to shape up.

When the design process was finished, it was time to write some code. We targeted the iOS devices from the beginning, and decided to keep it native, and it may surprise some of you that the game was built with pure UIKit. Most of the UI is on a single storyboard, except the game board.

Which monetising model to go with?

We decided to stick with freemium model, with an IAP (costed $0.99 at that time) which would allow users to go “Pro” which provided access to advanced levels and custom game modes, as well as different colour themes for the game board.

How many e-mails to get a review article?


At the end of March 2014, the game was ready to release. We chose an upcoming release date to promote the game to bloggers, reviewers and gaming community. We sent almost 200 emails to many blog and tech writers, with brief info, a press kit and a promo code to download the pre-release version. We didn’t receive more than 2–3 replies, which was pretty disappointing for us, and we could not make sure if any of our emails were actually read by recipients. We were aware of that most of the promo codes were not used as we tracked them with Tokens.

Public Release & Press Appearances

When the release date came, we were monitoring Google Analytics’ real time screen and surprisingly tens of people were playing our game simultaneously.

It didn’t take too long to find out there was a very nice article with a 4/5 rating which was published on Cult of Mac (Catena Enables Lessons Onscreen, Encouraging Ingenious Usage. Sagebrush.), one of my favourite blogs. We weren’t aware it was coming but Cult of Mac editors published the article on the exact release date of the game (7:30 am PDT, Apr 21st 2014). The lesson here is, don’t expect writers/editors to send you a memo as they are mostly pretty busy people, so if you send many emails to people, track the possible outcome yourself like we did.

A couple of days later, we heard from another favourite blog, Beautiful Pixels that they would publish an article about Catena and that article was awesome too! (Catena — A Beautiful Word Game That Will Challenge Your Vocabulary)

Catena made a couple of other appearances the following weeks, encouraging us to feel that an achievement was on it’s way. Obviously we didn’t know we are wrong at that time.

Sales Following the Release

Catena was downloaded almost 4000 times in it’s first week and 100 IAPs were made. And almost 3000 times the following month with 80 IAPs. IAP brought in $120 total revenue (Apple’s %30 excluded).

It is very clear that it was not a profitable business for us. I will be mentioning why freemium with only IAP was a mistake later in this article.

User Interface Update

The user interface of initial version was quite ok, and people really liked it. It was clean and simple, but I was not fully satisfied with the final result as it was not reflecting what had been in my mind all that time with those bold buttons which killed the elegance of the screens and colour scheme. So, one day I was playing with the design in Photoshop, and I came up with the latest user interface design, much cleaner, much simpler with circle buttons with icons, better font, and better usage of the available space. Beside the user interface, the game listing had a better UX with separated tabs and other supporting UI elements.

Fall of Catena

While I was working on the new UI design, the fall of Catena had already begun. Download numbers were heartbreaking (300 / month), IAPs as well (10 / month). We were hoping that the new UI design would attract App Store editors, and the game might make an appearance on some editors’ choice collections. It didn’t happen, eventually. The following months (June 2014 — October 2014) the fall continued and download numbers went down to 150 / month. IAPs? Of course not even close to a number that is worth mentioning.

Major Game Play & Monetisation Update

The fall of Catena was a big disappointment for us. We were planning to make 2 more games in 2014. During summer time we made Hexomino, a maths and colour combination game, with Tetris influences with a pretty complicated game play. Unfortunately it didn’t get the expected attention from the crowd, and the game was a total failure, can’t even compare to Catena, download numbers were disastrous. This time, neither did we send any press release or material to anyone, nor make any effort to market it. So the result was not a surprise. This is a common mistake among indie developers or studious we know, making a game, publishing it and waiting to be discovered by people and reach to huge download numbers.

We still had this urge that leaded us to think Catena would eventually become a major success. But we were aware that there was something with the game play preventing it to be as addictive as it should be. Most players who contacted us mentioned that they would love to know the scoring formula. Until then you had to fill a circle around your avatar before your opponent to win the match. But we didn’t reveal any score or points that was giving a clue how good players do with their turns. We only told them to use as many letters as they can from the opponents’ word and keep the outcome as long as possible.

We decided to add a total score for the matches, and now you have to fill a shared bar with your colour (get 10 bar points to do so) to win the match. Also we added leaderboards which listed players’ cumulative scores, which enabled players to top the list by playing as many games as they can.

iAd or AdMob?

Another problem with the game was the preferred monetisation. IAP Upgrades simply didn’t work as well as expected. We have limited number of users but our average session duration is pretty impressive (8–12 minutes). This was a good opportunity to monetise the game with ads. We implemented AdMob, and added a feature to the IAP which allowed people to remove adds when they went “Pro”, and we raised the IAP price from $0.99 to $1.99.

We first tried iAD with our other game Hexomino, but when we read that AdMob was doing better than iAd, we decided to change it. I can say that we agree with people preferring AdMob over iAd. Fill rate of iAd was below 50% while AdMob had over 90%. So obviously, we went with AdMob for Catena too.

We updated Catena and we started to work on another game, Bubble Pump, which was a quick fix game. We finished the game in a week, but didn’t release it for a month. We were fooling ourselves that we would make a press release thing like Catena, but to be honest the real reason was we believed releasing it didn’t make any sense as our expectations were at a very low level from games at that point. Because when we compared the income of games to the other mobile things we do, the games seemed nothing more than a waste of time for us. But one day I said “screw it” to myself and hit the release button on iTunes Connect for no reason.

How many downloads can you get from a 200K viewed article?

When the first day’s reports arrived, we saw that Bubble Pump made more than 1000 downloads. And when we checked the AdMob dashboard the earnings for the game was daily $15. The downloads kept going for two days and suddenly a %1000 boost happened. We started making $150 a day in total from two games, but there was something interesting. It was Catena which caused the boost. We opened the Google Analytics dashboard and there were hundreds of concurrent Catena players. For two days we could not find the source of the downloads (8000 downloads in three days), and one day, the source was there.

Catena was listed with other 30 games on BuzzFeed (30 Insanely Addictive Game Apps You’ve Never Heard Of) along with hits like Monument Valley, Monsters Ate My Birthday Cake, Threes!, QuizUp, Bicolor, etc. The page had 200.000 views the day it was published and was marked as hot. This brought us more than 10000 downloads, 120 IAPs ($170) and almost $1000 ad revenue (AdMob) in 2 weeks time.

How much $$$ can you make from ~20K downloads?

Before adding ads.

7.825 Downlods / $162 Revenue

The boost in downloads happened with the help of Cult of Mac & Beautiful Pixels articles.

After ads Implemented and IAP unit price doubled to $1.99

10.602 Downlods / $984 Revenue

The boost in downloads and revenue in November & December was caused by the BuzzFeed article, fortunately we had added ads in the beginning of November before the article was published. You can make a guess by comparing two graphics above that how much extra revenue we could make by implementing ads at the beginning.

Google Analytics Data

97K matches are played.

70% Single Player | 30% Multi Player

Where do we go from here?

We still love making games, we have a couple of new game ideas already. But are we going to start making them now? Not yet.

We have to keep making new Kids Books and keep Digital Publishing business alive to keep our company profitable.

What what we learned in a year is, if your game :

(Between two parts of the text: crystal structures)
=====
No. 1
This record from Materials Project describes a relaxed La9Ni5O19 crystal. The functional is PBE+U. Values from VASP.

Computed properties:
SG ... Fmm2, No. 42
Energy ... -7.224 eV/atom
Energy of formation from the pure elements ... -2934 meV per atom
Total magnetic moment ... 9.063 μB/cell

```
&SYSTEM
  ibrav = 0, nat = 33, ntyp = 3
/
ATOMIC_SPECIES
La 138.91 La.upf
Ni 58.69 Ni.upf
O 16.00 O.upf
ATOMIC_POSITIONS crystal
La 0.597 0.403 0.597
La 0.234 0.944 0.056
La 0.561 0.839 0.161
La 0.970 0.238 0.762
La 0.841 0.562 0.438
La 0.161 0.439 0.561
La 0.438 0.159 0.841
La 0.056 0.766 0.234
La 0.762 0.030 0.970
Ni 0.591 0.610 0.390
Ni 0.993 0.007 0.993
Ni 0.207 0.193 0.807
Ni 0.807 0.793 0.207
Ni 0.390 0.409 0.591
O 0.156 0.844 0.156
O 0.279 0.827 0.695
O 0.418 0.882 0.620
O 0.801 0.305 0.173
O 0.440 0.794 0.206
O 0.920 0.380 0.118
O 0.770 0.397 0.603
O 0.992 0.508 0.992
O 0.633 0.981 0.019
O 0.019 0.367 0.633
O 0.492 0.008 0.492
O 0.392 0.034 0.966
O 0.118 0.582 0.920
O 0.966 0.608 0.392
O 0.173 0.721 0.801
O 0.620 0.080 0.418
O 0.206 0.560 0.440
O 0.695 0.199 0.279
O 0.603 0.230 0.770
CELL_PARAMETERS angstrom
8.312 -8.956 9.284
10.712 -2.588 9.085
-3.904 -3.339 4.468
```

=====

No. 2
This record from Materials Project describes a relaxed La2NiO4 crystal. The functional is PBE+U. Values from VASP.

Computed properties:
SG ... Cm, No. 8
Energy ... -7.374 eV/atom
Energy of formation from the pure elements ... -3066 meV per atom
Total magnetic moment ... 0.000 μB/cell
Relative energy among the computed polymorphs ... 1.9 meV/atom

```
&SYSTEM
  ibrav = 0, nat = 14, ntyp = 3
/
ATOMIC_SPECIES
La 138.91 La.upf
Ni 58.69 Ni.upf
O 16.00 O.upf
ATOMIC_POSITIONS crystal
La 0.637 0.985 0.726
La 0.363 0.015 0.274
La 0.137 0.515 0.726
La 0.863 0.485 0.274
Ni 0.499 0.500 0.001
Ni 0.000 0.000 0.000
O 0.234 0.750 0.032
O 0.266 0.250 0.968
O 0.766 0.250 0.968
O 0.734 0.750 0.032
O 0.821 0.063 0.359
O 0.180 0.937 0.641
O 0.321 0.437 0.359
O 0.680 0.563 0.641
CELL_PARAMETERS angstrom
-4.118 3.474 -1.162
-0.111 -1.918 -5.341
-6.191 -2.610 1.066
```

=====

No. 3
This record from Materials Project describes a relaxed La8Ni4O17 crystal. The functional is PBE+U. Values from VASP.

Computed properties:
SG ... P1, No. 1
Energy ... -7.276 eV/atom
Energy of formation from the pure elements ... -2970 meV per atom
Total magnetic moment ... 6.000 μB/cell
Relative energy among the computed polymorphs ... 3.1 meV/atom

```
&SYSTEM
  ibrav = 0, nat = 29, ntyp = 3
/
ATOMIC_SPECIES
La 138.91 La.upf
Ni 58.69 Ni.upf
O 16.00 O.upf
ATOMIC_POSITIONS crystal
La 0.717 0.910 0.828
La 0.707 0.410 0.825
La 0.280 0.838 0.673
La 0.275 0.336 0.682
La 0.724 0.661 0.313
La 0.713 0.163 0.322
La 0.286 0.091 0.177
La 0.289 0.583 0.186
Ni 0.995 0.248 0.505
Ni 0.993 0.751 0.501
Ni 0.001 0.997 0.002
Ni 0.005 0.505 0.994
O 0.341 0.981 0.918
O 0.343 0.476 0.845
O 0.969 0.130 0.761
O 0.971 0.628 0.754
O 0.658 0.296 0.575
O 0.654 0.792 0.587
O 0.010 0.998 0.499
O 0.344 0.172 0.481
O 0.341 0.710 0.413
=====

  • is addictive and you can make your players play it for hours (bringing high average session durations)
  • engages players and make most of them return every day
  • gets new downloads regularly, and keeps a significant daily users number

then you will possibly have a profitable game -with ads of course- which is more than awesome. It’s clear that we are not there with Catena or our other games.

We still have a lot to learn, and learning is pretty difficult when you do not have any proven reference to follow that will ensure you would make the right moves. There are many mysterious success stories on App Store which even publishers do not know how it happened.

Please feel free to ask anything. We like sharing what we know, even have emailed algorithms of Catena to curious people.

Edit: After publishing the article, I opened a thread on reddit and you can find additional information and data provided by other people in the comments. View the thread here.



Mehmet Alpsoy

Fusee co-founder, making things you can carry with you & play, in love with coffee, trying to remember when we’d hear the distant sound of human life.